Tuesday, May 20, 2008

ITOC Results

Congratulations to our ITOC Champions, Jonny Carson and Iqbal Kassam, from West Point Grey Academy! Jonny and Iqbal beat semi-finalists, Alex Bores and Jon Lee from Hunter College High School, in an oh-so-close 3-2 decision (yes, 3-2!) for the final round of the ITOC. The topic was, "The UN should invite more members into the nuclear family." Both teams debated well in this final round.

Congratulations to the following Quarterfinalist teams:
Frankie Cena and Carol Kwon (Burnaby Mountain Prep)
Steven Carr and Lucy Chiang/David Nguyen (Fairmont Prep Academy)
Jon Lee and Alex Bores (Hunter College High)
Josiah Miller and Kenneth Hall (Silverton High)
Kehl Van Winkle and Zach Johnston (Sprague High)
Jonny Carson and Iqbal Kassam (West Point Grey Academy)
Sean Husband and Helenaz Hajifattahi (West Point Grey Academy)
Rafael Baptista and Chris Axtman (Westview High)

IDEA would like to thank all of the schools who participated in this tournament and helped to make it a success. Between great debating, hot weather, a LOT of ice cream, and some serious, competitive soccer, it was a fun weekend. We hope to see you at Willamette University for the 2009 International Tournament of Champions!

Monday, May 19, 2008

**Inserted here: data records:**
'''
DFT (wB97M-V/def2-TZVPD) results for 2 unconnected molecules or ions with the total composition C9H13N4S.

LUMO (alpha / beta): -5.39 / -4.99 eV
total charge: +1
HOMO-LUMO gap (alpha / beta): 6.0 / 7.1 eV
HOMO level (alpha / beta): -11.377 / -12.040 eV
electronic energy: -26328.3590 eV
relative energy (zero: lowest compared OMol25 entry of this formula, charge and spin): 85.0 kcal per mole

The geometry in XYZ format:
```
27
C9H13N4S wB97M-V/def2-TZVPD
C 3.53919 -0.21783 1.03555
C 2.96252 -1.40325 0.68047
C 3.08885 0.98918 0.67120
C 1.81854 -1.44167 -0.07140
C 1.94329 1.06504 -0.08364
C 1.28582 -0.22327 -0.56065
C -3.02706 0.25006 0.86473
C -2.34098 -1.69080 -0.53684
C -0.32934 0.73828 -2.03803
N -1.81206 -0.05729 1.11858
N -3.63507 1.30905 1.33748
N 0.14392 -0.31355 -1.23766
N -1.31744 -0.94275 0.20005
S -3.83006 -0.79772 -0.31321
H 4.42113 -0.24308 1.74378
H 3.54100 -2.29708 1.06270
H 3.53850 1.92109 1.02735
H 1.47368 -2.43583 -0.34276
H 1.56020 2.06952 -0.23711
H -2.16568 -1.53223 -1.68311
H -2.46962 -2.67349 -0.35881
H -0.11337 1.75924 -1.74353
H 0.05323 0.99175 -3.05380
H -1.41587 0.56425 -2.33453
H -3.34597 2.11496 1.92651
H -4.62284 1.58330 1.12895
H -0.67674 -1.68919 0.62207
```

Okay, here come the Mulliken numbers, in e, for every atom: C -0.095; C -0.543; C -0.812; C -0.200; C -0.216; C 0.515; C 0.638; C -0.520; C -0.838; N -0.782; N -0.411; N -0.099; N 0.227; S -0.148; H 0.283; H 0.315; H 0.374; H 0.529; H 0.275; H 0.253; H 0.461; H 0.275; H 0.369; H 0.250; H 0.266; H 0.218; H 0.417


DFT (wB97M-V/def2-TZVPD) results for 2 unconnected molecules or ions with the total composition C2H8NS.

LUMO: 3.94 eV
total charge: -1
HOMO-LUMO gap: 6.5 eV
HOMO level: -2.607 eV
electronic energy: -14529.9057 eV
relative energy (zero: lowest compared OMol25 entry of this formula, charge and spin): 4.3 kcal per mole

The geometry in XYZ format:
```
12
C2H8NS wB97M-V/def2-TZVPD
S -0.84643 0.03863 -2.21933
H -1.69690 1.06601 -2.05056
C 1.21584 0.75034 2.13229
C 0.84380 -0.13649 0.94927
N -0.35270 -0.91488 1.12974
H 0.41501 1.45459 2.37722
H 2.09862 1.35320 1.88192
H 1.40167 0.20200 3.06332
H 1.70334 -0.80238 0.77041
H 0.74940 0.53953 0.08970
H -0.77687 -1.15835 0.23292
H -0.95622 -0.57877 1.85841
```

Okay, here come the Mulliken numbers, in e, for every atom: S -0.886; H -0.050; C -1.193; C -0.051; N -0.523; H 0.339; H 0.324; H 0.294; H 0.154; H 0.206; H 0.226; H 0.161


DFT (wB97M-V/def2-TZVPD) results for a gas-phase ion, C6H14P (charge +1).

LUMO: -2.68 eV
total charge: +1
HOMO-LUMO gap: 11.6 eV
HOMO level: -14.290 eV
electronic energy: -15728.9509 eV
relative energy (zero: lowest compared OMol25 entry of this formula, charge and spin): 68.9 kcal per mole

The geometry in XYZ format:
```
21
C6H14P wB97M-V/def2-TZVPD
C -0.83046 2.96466 0.11641
C 0.24678 2.31087 0.53234
C -1.43805 -0.56637 -0.74060
C 0.99157 -1.99464 -0.94931
C 0.04884 -0.92806 1.67545
C 1.16862 0.94302 -0.39621
P 0.25247 -0.55408 -0.08054
H -1.41127 3.71891 0.64391
'''
**End of the data records:**

A Note From IDEA ITOC Participants

Live from the IDEA ITOC!
Right now we are sitting watching the exciting semifinals round between an American team and a Canadian team. It is on the controversial topic of pornography and is quite heated—literally as well as metaphorically. It’s 90 degrees outside! The ITOC has attracted debaters from all over the world, from New York to Canada to the Philippines. Throughout the tournament, we’ve debated a wide selection of topics ranging from music piracy rights, to taxing plastic bags, to the merits of anarchy as opposed to oppressive government.

The tournament is running on an extremely efficient schedule. All the rounds have started on time, which is a miracle for a debate tournament! 21 teams competed this year, and in between the debate rounds, we have all had a chance to get to know each other and relax on the beautiful Willamette campus. Despite the “no heckling” rule, the debate rounds have been witty, entertaining and intelligent. There have been many successful night-time activities as well—such an intense game of soccer and an ice cream social.

Attached: data records:
- - -
Record 1
C42H84O42 | ωB97M-V/def2-TZVPD

CARTESIAN COORDINATES (ANGSTROEM)
O 2.131 2.914 -3.621
O -1.891 -2.641 6.515
O 2.337 -4.360 -1.000
O -2.015 -4.434 5.147
O -3.998 5.609 5.711
O 4.478 -1.021 -5.479
O 3.993 3.253 -4.636
O -4.611 -0.196 2.125
O 4.538 -4.311 -0.516
O -2.997 4.638 -0.679
O -0.975 -0.669 0.641
O 0.373 7.142 2.524
O -3.698 1.805 2.595
O -1.593 6.222 -1.029
O 1.240 1.969 2.881
O -3.974 0.689 -1.542
O 2.218 0.979 1.238
O -3.255 -6.284 -2.695
O 0.409 -0.469 -1.127
O 1.128 -2.199 -6.533
O -2.164 0.847 -2.874
O 3.315 2.636 2.304
O 1.109 -1.298 -4.467
O 2.298 -3.056 -4.811
O 6.575 -1.624 -4.949
O -2.328 4.870 4.390
O 5.293 -0.944 -3.365
O 4.029 2.936 -2.402
O 0.440 -6.147 4.528
O -0.045 -6.196 2.419
O -0.458 1.317 -0.295
O -1.941 5.122 6.494
O 1.229 6.166 0.826
O -3.774 -4.633 -4.145
O 3.800 -5.930 -1.721
O -1.153 -2.448 4.503
O -0.616 5.255 1.746
O -3.080 -0.114 3.629
O -3.433 6.673 0.203
O -1.786 -4.691 -3.334
O -2.844 -1.103 -2.335
O 1.861 -5.179 3.114
C -3.761 0.612 2.750
C 4.035 -0.512 -2.834
C -1.384 1.953 0.601
C 2.363 1.921 2.156
C -2.311 5.598 7.778
C 3.292 0.713 0.347
C -2.293 2.259 -3.024
C 1.318 5.077 -0.076
C -3.095 0.188 -2.195
C 0.350 -5.935 1.081
C -0.723 -5.283 -2.623
C 0.853 -5.821 3.320
C -2.966 -5.300 -3.313
C -1.013 -2.878 3.155
C 0.742 -1.867 -1.066
C -2.874 5.218 5.547
C -2.245 -3.480 7.598
C -2.747 5.927 -0.439
C 5.429 3.029 -4.698
C 1.359 2.474 -2.499
C 4.385 -3.076 0.174
C -3.381 -2.007 -1.364
C -2.076 0.584 4.371
C -4.250 4.142 -0.243
C 1.180 3.019 3.837
C 1.207 -5.741 5.645
C -1.250 7.627 -1.027
C -0.385 7.215 3.718
C -0.400 0.002 -0.179
C -4.904 -5.372 -4.605
C 3.447 3.018 -3.452
C 2.733 -6.745 -2.170
C 5.365 -1.148 -4.679
C -3.226 4.741 3.285
C -1.714 -3.288 5.357
C 0.232 6.103 1.711
C 1.469 -2.190 -5.380
C 3.450 -4.809 -1.096
C 2.865 -4.039 -5.658
C 6.842 -1.871 -6.321
C -5.452 0.371 1.145
C 0.026 -0.417 -4.816
H 0.014 -3.184 2.949
H 1.889 1.866 -1.775
H -0.469 -6.251 0.444
H -1.534 -4.269 7.820
H 1.835 2.845 4.690
H -5.659 -0.356 0.371
H 2.269 -5.873 5.435
H 0.926 -2.071 -2.121
H 1.640 -2.100 -0.503
H -2.738 4.046 2.611
H 1.969 5.391 -0.889
H 2.127 -4.822 -5.844
H -0.186 7.660 -1.233
H 3.716 1.643 -0.039
H 3.147 -7.704 -2.465
H 2.017 -6.920 -1.363
H 0.815 3.308 -2.067
H -1.540 2.531 -3.757
H 6.140 -2.585 -6.752
H 3.792 -4.362 -5.205
H -1.898 8.136 -1.732
H -5.413 -5.792 -3.735
H -2.245 6.689 7.779
H -4.204 4.366 3.559
H 0.623 1.782 -2.910
H -1.283 -2.063 2.489
H -0.080 6.499 4.472
H -0.887 -0.855 -4.422
H 3.778 0.533 -2.999
H 0.154 3.076 4.192
H 1.446 3.962 3.365
H -4.206 -2.559 -1.807
H -2.411 1.684 0.358
H 7.843 -2.285 -6.358
H -0.890 -6.365 -2.557
H -1.463 7.226 3.525
H -4.398 3.149 -0.657
H -1.291 -0.136 4.581
H -2.579 -2.731 -1.205
H -5.559 -4.670 -5.106
H 6.761 -0.944 -6.887
H 0.221 -5.069 -3.108
H 5.901 3.779 -4.069
H 3.034 -3.614 -6.650
H 0.550 -4.881 0.858
H -1.571 5.237 8.486
H -2.330 -2.844 8.483
H 5.372 -2.630 0.242
H 1.002 -4.689 5.842
H -3.271 5.685 2.739
H 5.634 2.027 -4.327
- - -

So far, the semifinal round has addressed several contentious issues surrounding pornography, such as hate crime, freedom of speech and feminism. Neither of the teams has ever competed in American parliamentary before which makes the round especially exciting. Check back later for updates on who wins!